+++
No. 1
Compound: Dy5Sn2Sb2
Source: Alexandria
Functional: PBE-GGA
Structure: relaxed

Results
- ρ: 8.4 Mg/m³
- Uncorrected energy: -94.099 eV per cell
- Uncorrected formation energy: -0.865 eV/atom
- SG: Cmce

Structure (extended XYZ):
```
18
Lattice="8.203 0.000 0.000 0.000 8.170 0.000 0.000 -4.085 7.667" Properties=species:S:1:pos:R:3 pbc="T T T"
Dy 0.000 0.000 0.000
Dy 4.101 4.085 0.000
Dy 6.884 5.417 2.097
Dy 1.318 2.753 2.097
Dy 2.783 6.838 2.097
Dy 5.420 1.332 2.097
Dy 1.318 -1.332 5.570
Dy 6.884 1.332 5.570
Dy 5.420 -2.753 5.570
Dy 2.783 2.753 5.570
Sn 0.000 0.000 3.095
Sn 4.101 4.085 3.095
Sn 0.000 4.085 4.572
Sn 4.101 0.000 4.572
Sb 5.267 7.017 0.000
Sb 2.936 1.154 0.000
Sb 1.165 5.239 0.000
Sb 7.038 2.931 0.000
```

---

No. 2
Compound: DySnSb2
Source: Alexandria
Functional: PBE-GGA
Structure: relaxed

Results
- ρ: 5.4 Mg/m³
- Uncorrected energy: -16.805 eV per cell
- Uncorrected formation energy: 0.011 eV/atom
- SG: R-3m

Structure (extended XYZ):
```
4
Lattice="4.651 0.000 0.000 2.326 4.028 0.000 2.326 1.343 8.565" Properties=species:S:1:pos:R:3 pbc="T T T"
Sb 2.326 1.343 5.783
Sb 6.977 4.028 2.782
Sn 0.000 0.000 0.000
Dy 4.651 2.685 4.283
```

---

No. 3
Compound: DySnSb2
Source: Alexandria
Functional: PBE-GGA
Structure: relaxed

Results
- ρ: 8.1 Mg/m³
- Uncorrected energy: -18.529 eV per cell
- Uncorrected formation energy: -0.420 eV/atom
- SG: P4/mmm

Structure (extended XYZ):
```
4
Lattice="-2.025 -3.325 1.243 0.313 -1.961 -4.735 4.449 -2.251 1.226" Properties=species:S:1:pos:R:3 pbc="T T T"
Sb 2.225 -1.125 0.613
Sb 0.156 -0.980 -2.368
Sn -1.012 -1.662 0.622
Dy 1.369 -3.768 -1.133
```

---

No. 4
Compound: Dy3SnSb2
Source: Alexandria
Functional: PBE-GGA
Structure: relaxed

Results
- ρ: 7.9 Mg/m³
- Uncorrected energy: -63.099 eV per cell
- Uncorrected formation energy: -0.916 eV/atom
- SG: C2/c

Structure (extended XYZ):
```
12
Lattice="-5.728 -0.781 4.730 4.994 -4.817 3.205 1.138 7.536 0.576" Properties=species:S:1:pos:R:3 pbc="T T T"
Dy 1.172 1.714 0.713
Dy -1.038 -0.770 3.524
Dy 2.497 -2.409 1.603
Dy -0.769 0.223 7.798
Dy -2.295 3.377 2.653
Dy 1.442 2.708 4.987
Sn 1.953 0.142 3.291
Sn -1.549 1.795 5.220
Sb 3.240 -3.982 4.169
Sb 0.670 4.250 2.416
Sb -2.837 5.920 4.342
Sb -0.267 -2.313 6.095
```

---

No. 5
Compound: DySnSb2
Source: Alexandria
Functional: PBE-GGA
Structure: relaxed

Results
- ρ: 8.0 Mg/m³
- Uncorrected energy: -18.682 eV per cell
- Uncorrected formation energy: -0.458 eV/atom
- SG: P4/mmm

Structure (extended XYZ):
```
4
Lattice="-0.046 -2.017 3.624 3.592 -1.830 -0.973 3.168 4.781 2.702" Properties=species:S:1:pos:R:3 pbc="T T T"
Sb 2.344 3.537 1.999
Sb 0.824 1.244 0.703
Sn 1.773 -1.924 1.325
Dy 3.357 0.467 2.676
```

---

No. 6
Compound: Dy8SnSb2
Source: Alexandria
Functional: PBE-GGA
Structure: relaxed

Results
- ρ: 8.4 Mg/m³
- Uncorrected energy: -54.119 eV per cell
- Uncorrected formation energy: -0.459 eV/atom
- SG: C2/m

Structure (extended XYZ):
```
11
Lattice="-1.941 1.507 4.197 2.205 -6.019 3.182 8.621 4.770 -0.544" Properties=species:S:1:pos:R:3 pbc="T T T"
Dy 7.322 1.403 2.883
Dy 1.564 2.399 2.679
Dy 4.808 -0.023 5.050
Dy 6.963 4.609 4.383
Dy 4.077 0.281 1.785
Dy 7.321 -2.141 4.155
Dy 1.563 -1.144 3.952
Dy 1.922 -4.350 2.451
Sn -0.971 0.754 2.098
Sb 4.430 2.886 3.830
Sb 4.455 -2.627 3.004
```

---

No. 7
Compound: Dy4SnSb3
Source: Alexandria
Functional: PBE-GGA
Structure: relaxed

Results
- ρ: 7.9 Mg/m³
- Uncorrected energy: -42.530 eV per cell
- Uncorrected formation energy: -0.969 eV/atom
- SG: Pm-3m

Structure (extended XYZ):
```
8
Lattice="6.204 0.000 0.000 0.000 6.204 0.000 0.000 0.000 6.204" Properties=species:S:1:pos:R:3 pbc="T T T"
Sb 0.000 3.102 3.102
Sb 3.102 0.000 3.102
Sb 3.102 3.102 0.000
Sn 0.000 0.000 0.000
Dy 3.102 0.000 0.000
Dy 0.000 3.102 0.000
Dy 0.000 0.000 3.102
Dy 3.102 3.102 3.102
```

---

No. 8
Compound: Dy6SnSb5
Source: Alexandria
Functional: PBE-GGA
Structure: relaxed

Results
- ρ: 7.9 Mg/m³
- Uncorrected energy: -64.489 eV per cell
+++

Could you start at the top of the notes further above and repeat each line, ending with the one that has "4.987"?

No. 1
Compound: Dy5Sn2Sb2
Source: Alexandria
Functional: PBE-GGA
Structure: relaxed

Results
- ρ: 8.4 Mg/m³
- Uncorrected energy: -94.099 eV per cell
- Uncorrected formation energy: -0.865 eV/atom
- SG: Cmce

Structure (extended XYZ):
```
18
Lattice="8.203 0.000 0.000 0.000 8.170 0.000 0.000 -4.085 7.667" Properties=species:S:1:pos:R:3 pbc="T T T"
Dy 0.000 0.000 0.000
Dy 4.101 4.085 0.000
Dy 6.884 5.417 2.097
Dy 1.318 2.753 2.097
Dy 2.783 6.838 2.097
Dy 5.420 1.332 2.097
Dy 1.318 -1.332 5.570
Dy 6.884 1.332 5.570
Dy 5.420 -2.753 5.570
Dy 2.783 2.753 5.570
Sn 0.000 0.000 3.095
Sn 4.101 4.085 3.095
Sn 0.000 4.085 4.572
Sn 4.101 0.000 4.572
Sb 5.267 7.017 0.000
Sb 2.936 1.154 0.000
Sb 1.165 5.239 0.000
Sb 7.038 2.931 0.000
```

---

No. 2
Compound: DySnSb2
Source: Alexandria
Functional: PBE-GGA
Structure: relaxed

Results
- ρ: 5.4 Mg/m³
- Uncorrected energy: -16.805 eV per cell
- Uncorrected formation energy: 0.011 eV/atom
- SG: R-3m

Structure (extended XYZ):
```
4
Lattice="4.651 0.000 0.000 2.326 4.028 0.000 2.326 1.343 8.565" Properties=species:S:1:pos:R:3 pbc="T T T"
Sb 2.326 1.343 5.783
Sb 6.977 4.028 2.782
Sn 0.000 0.000 0.000
Dy 4.651 2.685 4.283
```

---

No. 3
Compound: DySnSb2
Source: Alexandria
Functional: PBE-GGA
Structure: relaxed

Results
- ρ: 8.1 Mg/m³
- Uncorrected energy: -18.529 eV per cell
- Uncorrected formation energy: -0.420 eV/atom
- SG: P4/mmm

Structure (extended XYZ):
```
4
Lattice="-2.025 -3.325 1.243 0.313 -1.961 -4.735 4.449 -2.251 1.226" Properties=species:S:1:pos:R:3 pbc="T T T"
Sb 2.225 -1.125 0.613
Sb 0.156 -0.980 -2.368
Sn -1.012 -1.662 0.622
Dy 1.369 -3.768 -1.133
```

---

No. 4
Compound: Dy3SnSb2
Source: Alexandria
Functional: PBE-GGA
Structure: relaxed

Results
- ρ: 7.9 Mg/m³
- Uncorrected energy: -63.099 eV per cell
- Uncorrected formation energy: -0.916 eV/atom
- SG: C2/c

Structure (extended XYZ):
```
12
Lattice="-5.728 -0.781 4.730 4.994 -4.817 3.205 1.138 7.536 0.576" Properties=species:S:1:pos:R:3 pbc="T T T"
Dy 1.172 1.714 0.713
Dy -1.038 -0.770 3.524
Dy 2.497 -2.409 1.603
Dy -0.769 0.223 7.798
Dy -2.295 3.377 2.653
Dy 1.442 2.708 4.987